Wanted
What is needed: transcribe everything further down verbatim.

Contents
┌──
Compound: Na6Ti2O7
Source: the Materials Project database
Functional: PBE-GGA
Structure: optimized geometry

Summary:
For the total magnetization, the calculation gives 0.000 μB per atom. The energy of formation from the pure elements comes out at -2.54 eV per atom. The calculated total energy is -6.111 eV/atom. Its polymorph energy (0 for the lowest one) is 16 meV per atom.

a b c (Å): 5.973 5.973 12.481
angles (deg): 79.64 79.64 94.39
Fractional positions:
1 O 0.038 0.962 0.250
2 O 0.153 0.251 0.521
3 O 0.474 0.230 0.677
4 O 0.749 0.847 0.979
5 O 0.799 0.304 0.107
6 O 0.847 0.749 0.479
7 O 0.251 0.153 0.021
8 O 0.304 0.799 0.607
9 O 0.770 0.526 0.823
10 O 0.696 0.201 0.393
11 O 0.962 0.038 0.750
12 O 0.201 0.696 0.893
13 O 0.526 0.770 0.323
14 O 0.230 0.474 0.177
15 Na 0.049 0.759 0.081
16 Na 0.951 0.241 0.919
17 Na 0.436 0.564 0.750
18 Na 0.759 0.049 0.581
19 Na 0.500 0.500 0.500
20 Na 0.049 0.489 0.366
21 Na 0.564 0.436 0.250
22 Na 0.489 0.049 0.866
23 Na 0.241 0.951 0.419
24 Na 0.951 0.511 0.634
25 Na 0.500 0.500 0.000
26 Na 0.511 0.951 0.134
27 Ti 0.073 0.235 0.140
28 Ti 0.235 0.073 0.640
29 Ti 0.765 0.927 0.360
30 Ti 0.927 0.765 0.860

~~~~~

Na3VS4: relaxed, GGA-PBE.

MP2020-corrected energy ... -319.47 eV/cell
Energy relative to the elements ... -1.292 eV per atom
VASP energy ... -4.740 eV/atom

Cell lengths 13.5878, 13.5878, 8.0100 Å; angles 90.00, 90.00, 90.00 degrees
Last column: nearest neighbours and their distance in Å.
Sites, in units of the cell vectors:
S 0.1291 0.6901 0.6783  1 V 2.17
S 0.3134 0.5088 0.5129  1 V 2.15
S 0.3099 0.1291 0.3217  1 V 2.17
S 0.1901 0.6291 0.1783  1 V 2.17
S 0.6901 0.8709 0.3217  1 V 2.17
S 0.6866 0.4912 0.5129  1 V 2.15
S 0.8099 0.3709 0.1783  1 V 2.17
S 0.8868 0.6078 0.3184  1 V 2.17
S 0.8134 0.9912 0.9871  1 V 2.15
S 0.3383 0.4205 0.1042  1 V 2.16
S 0.1078 0.3868 0.8184  1 V 2.17
S 0.1617 0.9205 0.3958  1 V 2.16
S 0.4912 0.3134 0.4871  1 V 2.15
S 0.3922 0.8868 0.6816  1 V 2.17
S 0.5088 0.6866 0.4871  1 V 2.15
S 0.8383 0.0795 0.3958  1 V 2.16
S 0.9912 0.1866 0.0129  1 V 2.15
S 0.1866 0.0088 0.9871  1 V 2.15
S 0.1132 0.3922 0.3184  1 V 2.17
S 0.0795 0.1617 0.6042  1 V 2.16
S 0.6617 0.5795 0.1042  1 V 2.16
S 0.4205 0.6617 0.8958  1 V 2.16
S 0.3709 0.1901 0.8217  1 V 2.17
S 0.6132 0.1078 0.1816  1 V 2.17
S 0.3868 0.8922 0.1816  1 V 2.17
S 0.0088 0.8134 0.0129  1 V 2.15
S 0.6291 0.8099 0.8217  1 V 2.17
S 0.8709 0.3099 0.6783  1 V 2.17
S 0.6078 0.1132 0.6816  1 V 2.17
S 0.9205 0.8383 0.6042  1 V 2.16
S 0.5795 0.3383 0.8958  1 V 2.16
S 0.8922 0.6132 0.8184  1 V 2.17
Na 0.2557 0.0448 0.6462  6 S 2.85-2.93
Na 0.2535 0.2999 0.5637  7 S 2.98-3.29
Na 0.7465 0.7001 0.5637  7 S 2.98-3.29
Na 0.0000 0.5000 0.5742  6 S 2.89-3.23
Na 0.0000 0.5000 0.0742  6 S 2.89-3.23
Na 0.0000 0.0000 0.7877  6 S 2.86-3.11
Na 0.7443 0.9552 0.6462  6 S 2.85-2.93
Na 0.5000 0.5000 0.7123  6 S 2.86-3.11
Na 0.0000 0.0000 0.2123  6 S 2.86-3.11
Na 0.2001 0.2465 0.0637  7 S 2.98-3.29
Na 0.7001 0.2535 0.4363  7 S 2.98-3.29
Na 0.2999 0.7465 0.4363  7 S 2.98-3.29
Na 0.7557 0.4552 0.8538  6 S 2.85-2.93
Na 0.5000 0.5000 0.2877  6 S 2.86-3.11
Na 0.2443 0.5448 0.8538  6 S 2.85-2.93
Na 0.0448 0.7443 0.3538  6 S 2.85-2.93
Na 0.2465 0.7999 0.9363  7 S 2.98-3.29
Na 0.7535 0.2001 0.9363  7 S 2.98-3.29
Na 0.5000 0.0000 0.4258  6 S 2.89-3.23
Na 0.4552 0.2443 0.1462  6 S 2.85-2.93
Na 0.5448 0.7557 0.1462  6 S 2.85-2.93
Na 0.7999 0.7535 0.0637  7 S 2.98-3.29
Na 0.5000 0.0000 0.9258  6 S 2.89-3.23
Na 0.9552 0.2557 0.3538  6 S 2.85-2.93
V 0.2384 0.4888 0.2796  4 S 2.15-2.17
V 0.4888 0.7616 0.7204  4 S 2.15-2.17
V 0.2616 0.9888 0.2204  4 S 2.15-2.17
V 0.5112 0.2384 0.7204  4 S 2.15-2.17
V 0.7384 0.0112 0.2204  4 S 2.15-2.17
V 0.0112 0.2616 0.7796  4 S 2.15-2.17
V 0.7616 0.5112 0.2796  4 S 2.15-2.17
V 0.9888 0.7384 0.7796  4 S 2.15-2.17

~~~~~

Record 1
! Dy2Fe12P7 | Materials Project | PBE | optimized geometry; values from VASP
! Space-group type = P-6 (174)
&SYSTEM
  ibrav = 0, nat = 21, ntyp = 3
/
ATOMIC_SPECIES
Dy 162.50 Dy.upf
└──

Result
Compound: Na6Ti2O7
Source: the Materials Project database
Functional: PBE-GGA
Structure: optimized geometry

Summary:
For the total magnetization, the calculation gives 0.000 μB per atom. The energy of formation from the pure elements comes out at -2.54 eV per atom. The calculated total energy is -6.111 eV/atom. Its polymorph energy (0 for the lowest one) is 16 meV per atom.

a b c (Å): 5.973 5.973 12.481
angles (deg): 79.64 79.64 94.39
Fractional positions:
1 O 0.038 0.962 0.250
2 O 0.153 0.251 0.521
3 O 0.474 0.230 0.677
4 O 0.749 0.847 0.979
5 O 0.799 0.304 0.107
6 O 0.847 0.749 0.479
7 O 0.251 0.153 0.021
8 O 0.304 0.799 0.607
9 O 0.770 0.526 0.823
10 O 0.696 0.201 0.393
11 O 0.962 0.038 0.750
12 O 0.201 0.696 0.893
13 O 0.526 0.770 0.323
14 O 0.230 0.474 0.177
15 Na 0.049 0.759 0.081
16 Na 0.951 0.241 0.919
17 Na 0.436 0.564 0.750
18 Na 0.759 0.049 0.581
19 Na 0.500 0.500 0.500
20 Na 0.049 0.489 0.366
21 Na 0.564 0.436 0.250
22 Na 0.489 0.049 0.866
23 Na 0.241 0.951 0.419
24 Na 0.951 0.511 0.634
25 Na 0.500 0.500 0.000
26 Na 0.511 0.951 0.134
27 Ti 0.073 0.235 0.140
28 Ti 0.235 0.073 0.640
29 Ti 0.765 0.927 0.360
30 Ti 0.927 0.765 0.860

~~~~~

Na3VS4: relaxed, GGA-PBE.

MP2020-corrected energy ... -319.47 eV/cell
Energy relative to the elements ... -1.292 eV per atom
VASP energy ... -4.740 eV/atom

Cell lengths 13.5878, 13.5878, 8.0100 Å; angles 90.00, 90.00, 90.00 degrees
Last column: nearest neighbours and their distance in Å.
Sites, in units of the cell vectors:
S 0.1291 0.6901 0.6783  1 V 2.17
S 0.3134 0.5088 0.5129  1 V 2.15
S 0.3099 0.1291 0.3217  1 V 2.17
S 0.1901 0.6291 0.1783  1 V 2.17
S 0.6901 0.8709 0.3217  1 V 2.17
S 0.6866 0.4912 0.5129  1 V 2.15
S 0.8099 0.3709 0.1783  1 V 2.17
S 0.8868 0.6078 0.3184  1 V 2.17
S 0.8134 0.9912 0.9871  1 V 2.15
S 0.3383 0.4205 0.1042  1 V 2.16
S 0.1078 0.3868 0.8184  1 V 2.17
S 0.1617 0.9205 0.3958  1 V 2.16
S 0.4912 0.3134 0.4871  1 V 2.15
S 0.3922 0.8868 0.6816  1 V 2.17
S 0.5088 0.6866 0.4871  1 V 2.15
S 0.8383 0.0795 0.3958  1 V 2.16
S 0.9912 0.1866 0.0129  1 V 2.15
S 0.1866 0.0088 0.9871  1 V 2.15
S 0.1132 0.3922 0.3184  1 V 2.17
S 0.0795 0.1617 0.6042  1 V 2.16
S 0.6617 0.5795 0.1042  1 V 2.16
S 0.4205 0.6617 0.8958  1 V 2.16
S 0.3709 0.1901 0.8217  1 V 2.17
S 0.6132 0.1078 0.1816  1 V 2.17
S 0.3868 0.8922 0.1816  1 V 2.17
S 0.0088 0.8134 0.0129  1 V 2.15
S 0.6291 0.8099 0.8217  1 V 2.17
S 0.8709 0.3099 0.6783  1 V 2.17
S 0.6078 0.1132 0.6816  1 V 2.17
S 0.9205 0.8383 0.6042  1 V 2.16
S 0.5795 0.3383 0.8958  1 V 2.16
S 0.8922 0.6132 0.8184  1 V 2.17
Na 0.2557 0.0448 0.6462  6 S 2.85-2.93
Na 0.2535 0.2999 0.5637  7 S 2.98-3.29
Na 0.7465 0.7001 0.5637  7 S 2.98-3.29
Na 0.0000 0.5000 0.5742  6 S 2.89-3.23
Na 0.0000 0.5000 0.0742  6 S 2.89-3.23
Na 0.0000 0.0000 0.7877  6 S 2.86-3.11
Na 0.7443 0.9552 0.6462  6 S 2.85-2.93
Na 0.5000 0.5000 0.7123  6 S 2.86-3.11
Na 0.0000 0.0000 0.2123  6 S 2.86-3.11
Na 0.2001 0.2465 0.0637  7 S 2.98-3.29
Na 0.7001 0.2535 0.4363  7 S 2.98-3.29
Na 0.2999 0.7465 0.4363  7 S 2.98-3.29
Na 0.7557 0.4552 0.8538  6 S 2.85-2.93
Na 0.5000 0.5000 0.2877  6 S 2.86-3.11
Na 0.2443 0.5448 0.8538  6 S 2.85-2.93
Na 0.0448 0.7443 0.3538  6 S 2.85-2.93
Na 0.2465 0.7999 0.9363  7 S 2.98-3.29
Na 0.7535 0.2001 0.9363  7 S 2.98-3.29
Na 0.5000 0.0000 0.4258  6 S 2.89-3.23
Na 0.4552 0.2443 0.1462  6 S 2.85-2.93
Na 0.5448 0.7557 0.1462  6 S 2.85-2.93
Na 0.7999 0.7535 0.0637  7 S 2.98-3.29
Na 0.5000 0.0000 0.9258  6 S 2.89-3.23
Na 0.9552 0.2557 0.3538  6 S 2.85-2.93
V 0.2384 0.4888 0.2796  4 S 2.15-2.17
V 0.4888 0.7616 0.7204  4 S 2.15-2.17
V 0.2616 0.9888 0.2204  4 S 2.15-2.17
V 0.5112 0.2384 0.7204  4 S 2.15-2.17
V 0.7384 0.0112 0.2204  4 S 2.15-2.17
V 0.0112 0.2616 0.7796  4 S 2.15-2.17
V 0.7616 0.5112 0.2796  4 S 2.15-2.17
V 0.9888 0.7384 0.7796  4 S 2.15-2.17

~~~~~

Record 1
! Dy2Fe12P7 | Materials Project | PBE | optimized geometry; values from VASP
! Space-group type = P-6 (174)
&SYSTEM
  ibrav = 0, nat = 21, ntyp = 3
/
ATOMIC_SPECIES
Dy 162.50 Dy.upf